At the beginning of 2022, developing and industrial counties approach a new coronavirus phase. The way for pursuing the minimization of COVID-19 has now been closed by the end of 2021 (Gautam et al., 2021). Currently, the term post-pandemic world is far from zero COVID-19 cases scenarios. The main challenge for the local and national governments and international organizations is to determine the level of COVID-19 acceptable for individual nations/states/cities in line with the world (Gautam, 2020). Science and technology have suggested and given the required tools and appropriate evidence to minimize the effects of the pandemic. However, health detriment issues are currently observed due to political responses and lack of cooperation.

2021 is marked as the year of extraordinary science for COVID-19 (Chelani & Gautam, 2021). Worldwide, approximately 26 vaccines with different efficacy were introduced. Similarly, advanced treatments are currently available to control the death rate. These new vaccines and treatments provide a sense of hope to counteract the devastating pandemic demands.

Vaccines and masks are the main weapons to fight coronavirus infections. In this regard, many vaccines roll-out programs have also been arranged with massive participation of citizens in nations such as Portugal, Chile, Cuba, and Singapore with 88%, 86%, 83%, and 83%, respectively. High participation rates also reached in some states of India (one of the most populated countries worldwide), including Utter Pradesh (1.173 million COVID-19 vaccine doses per day), Gujarat (0.48 million COVID-19 vaccine doses per day), Karnataka (0.382 million COVID-19 vaccine doses per day), Madhya Pradesh (0.317 million COVID-19 vaccine doses per day), etc. Moreover, of all Indians who are eligible, only 40.4% are fully vaccinated, with 1390 million doses given. However, vaccination rates are lower than in Russia (48% of its population). Socioeconomic disadvantage is a considerable contributor to vaccine uncertainty in rural and remote communities.

Political ideologies often fomented compliance with public health interventions, such as indoor masking. The Indian government put the action for vaccination (booster shots) for healthcare workers/medical professionals mandatory in 2021. In spite of free vaccination for the population at large in significant proportion remains not vaccinated.

The new shape of the pandemic is partially the report of political failures to find solutions and cooperation. Political leaders worldwide spoke about the importance of vaccination and pledged to donate doses but have consistently been unable to deliver the vaccines. The response has not matched the enormity of the situation. Political and local-driven issues undermined the health security system. Global Health Security Index (2021) showed that political stability has increased globally, and few nations are at the highest risk because of the fewest resources.

The Omikron variant will generate harm from a health and economic point of view. Medical technology will most likely provide the means to respond. Health policy and action based on individual and national leadership should provide effective and equitable results. Unfortunately, these often lacked during the past.

_Between two parts of the piece: calculated crystals_
1.
Starting from a cell relaxed with GGA-PBE, the PXRD pattern of LiDy6Au5 was calculated for a wavelength of 1.5418 Å.

The 10 most intense peaks (2θ = 15–90°), by angle:
2θ (°), d/Å, Rel. int.
34.84, 2.575, 24
35.19, 2.550, 100
35.63, 2.520, 25
50.54, 1.806, 9
50.68, 1.801, 16
62.69, 1.482, 15
62.85, 1.479, 9
63.36, 1.468, 9
63.71, 1.461, 18
74.39, 1.275, 11

Crystal structure
Lattice parameters (Å, degrees): 5.040 7.223 15.452 90.00 90.00 90.00
Space group Immm (No. 71)
Symmetry-distinct sites (fractional):
Li 0.000 0.000 0.000 (multiplicity 2)
Dy 0.000 0.240 0.500 (multiplicity 4)
Dy 0.000 0.252 0.170 (multiplicity 8)
Au 0.000 0.000 0.329 (multiplicity 4)
Au 0.000 0.500 0.000 (multiplicity 2)
Au 0.000 0.500 0.353 (multiplicity 4)



2.
Starting from a cell relaxed with GGA-PBE, the PXRD pattern of LiDy2Au3 was calculated for a wavelength of 1.5418 Å.

The 10 most intense peaks (2θ = 15–90°), by angle:
2θ (°), d/Å, Rel. int.
25.45, 3.499, 21
36.03, 2.493, 100
36.58, 2.456, 88
52.29, 1.750, 32
64.78, 1.439, 18
65.14, 1.432, 33
66.21, 1.411, 16
76.42, 1.246, 12
87.83, 1.111, 16
88.81, 1.102, 15

Crystal structure
Lattice parameters (Å, degrees): 4.9853 4.9853 11.9480 90.00 90.00 120.00
Space group P-3m1 (No. 164)
Symmetry-distinct sites (fractional):
Li 0.3333 0.6667 0.1691 (multiplicity 2)
Dy 0.0000 0.0000 0.0000 (multiplicity 1)
Dy 0.0000 0.0000 0.5000 (multiplicity 1)
Dy 0.3333 0.6667 0.6854 (multiplicity 2)
Au 0.0000 0.0000 0.2504 (multiplicity 2)
Au 0.3333 0.6667 0.4216 (multiplicity 2)
Au 0.3333 0.6667 0.9358 (multiplicity 2)



3.
Starting from a cell relaxed with GGA-PBE, the PXRD pattern of Li3DyAu4 was calculated for a wavelength of 1.5418 Å.

The 10 most intense peaks (2θ = 15–90°), by angle:
2θ (°), d/Å, Rel. int.
18.81, 4.718, 15
26.72, 3.336, 51
32.88, 2.724, 8
38.15, 2.359, 100
47.19, 1.926, 15
55.06, 1.668, 17
62.23, 1.492, 20
_So much for the calculated crystals_

Environment Development and Sustainability is now open for to research contributions on Omikron and environment/sustainability relations. This new call for research results less targets the medical/virology aspects of the pandemic, but merely the social (the uneven spread of the infections over social groups), the environmental (impact of environmental pollution and meteorological parameters on the spreading caused the virus), and the economic (how to restore economies before and after the lockdowns) aspects of the discussion.

It is imperative to analyze the consequences of this sustainability analysis. The purpose of this editorial is to call for original scientific articles on the role of the environment in transmission, pathogenesis, and severity of Omikron/COVID-19 and its related mortality. Moreover, ENVI aims to review the lessons of the current and past assessment measures for the short- and long-term sustainability, particularly for the urban built environment.